
I claim this land as my own



02-18-2013, 10:34 AM
Jupiter v Thane for the right to challenge Pepper

Round 1

-1 for clarity- Very well written, minimal problems with clarity in certain portions

-0 for powerplaying. No obvious signs of power playing

-2 for defenses. Three major defenses were clearly stated, though a few more could have been elaborated upon.

-4 for attack. If she is turning her head to the side to snap at his muzzle and clamp down, then that would mean she is not leaping directly for him, and therefore would have difficulty latching onto his chest with her claws. Also, given the fact that she is leaping toward him, she is placing herself in a vulnerable position with limited balance given that all four paws are off of the earth during her attack.

-0 for injuries.First round

Round one Jupiter Total: 43/50


-6 for clarity- A few run on sentences and changes of tense made parts of this round difficult to comprehend. Your response to Jupiter's attack needed improvement, as you didn't state where the attack landed, and didn't really say for certain that it did. That's your job.

-1 for powerplaying. I saw no powerplaying, though a bit more description is necessary in order to make it fair for the other person involved.

-0 for defenses. Your defenses were well established and thought out.

-4 for attack. Your attack was somewhat vague, as well as your response to Jupiter's attack. If he is leaping to escape her attack on his muzzle, you need to state exactly where her claws hit and what direction he is jumping in. Remember, every single attack has to cause some form of damage unless a full dodge is used, and each attack must be referred to in your post.

-0 for injuries. First round.

Round one Thane Total: 39/50

Round 2


-0 for clarity- again, very well written with no obvious problems in clarity.

-0 for powerplaying. n/a

-7 for defenses. The defenses were minimal at best, and given her vulnerable state she could have attempted to do more to protect herself. Elaborate on defenses, they are incredibly important.

-0 for attack. Her attack makes a lot of sense and is logical given the way she is positioned on her back.

-5 for injuries. Injuries were minor, but not well addressed within the post, not to mention she would have sustained minimal bruising or at least pain when she fell on her back. Remember, the ground is hard and she fell directly onto her back from the air.

Round two Jupiter Total: 38/50


-4 for clarity- Again, a few of your sentences are run-ons. There were also some comma misplacements that caused me to have to read and reread your post to understand fully what you meant.

-3 for powerplaying. I need you to be clearer on where Jupiter's attacks land. 'with his paw on her chest and he would scratch her chest deeply as they landed which would cause impalement of the skin ' You're basically saying that your attack will succeed. Your wording needs to change here, because you're not giving Jupiter a chance to react to what Thane is attempting. This is considered powerplaying because of your wording.

-5 for defenses- Some of the defenses were logical, but others were not entirely probable. Thane would not have been able to rotate his body onto his side to receive her attack at his shoulder in that amount of time. Remember, this isn't slow motion, he would have had just a split second of 'hang time' in order to make this move, and I don't believe he could have accomplished it as you said.

-3 for attack. While the attack makes sense in and of itself, with what I said above and him not being able to rotate that quickly and efficiently, it makes your attack also improbable. There was also powerplaying involved with this as I stated above.

-7 for injuries. Given that I don't believe he could have made that rotation, I am taking extra points away because the injury did not take place in the most probable location. Also, you need to take your injuries in your post, you're not mentioning them as happening, but saying they will happen in the future. The injuries must be accounted for within the post that they are received. Another note, the attack on his muzzle was completely missed, and therefore is an automatic success.

Round Two Thane Total: 28/50

Round 3

-0 for clarity- No immediate issues here

-0 for powerplaying. No immediate issues here

-5 for defense. Minimal defenses, I should think she would have done a bit more to secure herself after narrowly escaping a vulnerable position beneath him.

-2 for attack. Creative attack of shifting her weight back toward him, but a bit more description would have been nice in order to know just where their bodies might impact one another, etc.

-4 for injuries. The impact of him falling on top of her would surely cause more than just the concentration of scratches on her chest. I would expect bruising or something of that sort.

Round Three Jupiter Total: 39/50


-4 for clarity- Mild clarity issues including vague explanations, spelling, and grammatical issues.

-0 for powerplaying. No issues here.

-6 for attack. Attack is hardly probable. He would have to be jumping straight up, as well as to the side which is not the usual way that wolves would jump. Not to mention the odds of him getting high enough to launch an attack on her back are extremely low.
-6 for injuries. Her attack on his muzzle was moderate-severe, and therefore should have inflicted more damage including bruising, swelling, and most likely four wounds instead of two, as she has four canine teeth which would have concentrated the attack to both the top and bottom of his muzzle and possibly rendered it painful to move.
-8 for defenses. No plan for balance, very little defensive tactics mentioned in post, as well as improbability of said defense.

Round Three Thane Total: 22/50

Round 4

-1 for clarity- I understood it all eventually, but some of it was a bit difficult.

-0 for powerplaying. Didn't notice anything here.

-4 for defense. Needs to be more elaborate, there was not much mentioned as far as what her body was doing to defend herself, it was more action-based. Remember defenses must be set and elaborated upon in each post.

-3 for attack. Lots of rolling involved, I'm not sure how much time she would have had to complete this. Added point for the companion's attack.
-3 for injuries. Injuries seemed logical and took proper damage.

Round Four Jupiter Total: 38/50


-2 for clarity- To he honest, I got lost a few times in this post, and had to reread. Concentrate on proper tenses and use of vocabulary.

-1 for powerplaying Not bad.

-6 for defenses. I don't believe that he would have had enough reaction time to leap over her /again/ and miss her attack altogether. You also didn't mention much about defenses at all in this post.

Crystal structures from another source follow =
____________
The following is a DFT calculation (PBE-GGA) of a geometry-optimized NbFeAg2 structure.

Summary:
Crystal system: tetragonal
Fermi-level density of states in states/eV/f.u.: 8.20
Formation enthalpy at 0 K in eV per atom: 0.94

CIF file:
```
data_NbFeAg2
_chemical_formula_sum 'Nb4 Fe4 Ag8'
_cell_length_a 7.458
_cell_length_b 7.458
_cell_length_c 5.013
_cell_angle_alpha 90.00
_cell_angle_beta 90.00
_cell_angle_gamma 90.00
_space_group_name_H-M_alt 'I -4 2 d'
_space_group_IT_number 122
_space_group_name_Hall 'I -4 2bw'
loop_
_atom_site_label
_atom_site_type_symbol
_atom_site_fract_x
_atom_site_fract_y
____________

-6 for attack. The attack didn't make much sense to me at all, particularly because I don't believe the leap was logical.

-5 for injuries. Again, I don't believe that the full dodge was used logically. It's a dodge, not an excuse for a special move.

Round Four Thane Total: 30/50


Jupiter: 158/200

Thane: 119/200

And the winner is...

Data records, as found in the file:
+++
No. 1
# Na3ZrIn PBE-GGA optimized geometry
# VASP energy   -1.8736 eV/atom
# E_form   1.1751 eV/atom
# ΔE to the lowest computed polymorph   0.2476 eV/atom
# Total magnetic moment   3.9 μB per formula unit
data_Na3ZrIn
_symmetry_space_group_name_H-M 'P 1'
_symmetry_Int_Tables_number 1
_symmetry_space_group_name_Hall 'P 1'
_cell_length_a 6.022
_cell_length_b 6.022
_cell_length_c 6.022
_cell_angle_alpha 90.00
_cell_angle_beta 90.00
_cell_angle_gamma 90.00
loop_
_atom_site_label
_atom_site_fract_x
_atom_site_fract_y
_atom_site_fract_z
Na1 0.000 0.000 0.500
Na2 0.000 0.500 0.000
Na3 0.500 0.000 0.000
Zr1 0.000 0.000 0.000
In1 0.500 0.500 0.500

No. 2
# IrRh2Br PBE-GGA optimized geometry
# VASP energy   -5.4899 eV/atom
# ΔE to the lowest computed polymorph   0.4420 eV/atom
# Total magnetic moment   0.0 μB per formula unit
# E_form (uncorrected)   0.8193 eV per atom
data_IrRh2Br
_symmetry_space_group_name_H-M 'P 1'
_symmetry_Int_Tables_number 1
_symmetry_space_group_name_Hall 'P 1'
_cell_length_a 4.476
_cell_length_b 4.476
_cell_length_c 4.476
_cell_angle_alpha 60.00
_cell_angle_beta 60.00
_cell_angle_gamma 60.00
loop_
_atom_site_label
_atom_site_fract_x
_atom_site_fract_y
_atom_site_fract_z
Ir1 0.000 0.000 0.000
Rh1 0.250 0.250 0.250
Rh2 0.750 0.750 0.750
Br1 0.500 0.500 0.500

No. 3
# InRhSe2 PBE-GGA optimized geometry
# VASP energy   -4.5561 eV/atom
# Total magnetic moment   0.0 μB per formula unit
# E_form (uncorrected)   -0.2914 eV per atom
data_InRhSe2
_symmetry_space_group_name_H-M 'P 1'
_symmetry_Int_Tables_number 1
_symmetry_space_group_name_Hall 'P 1'
_cell_length_a 8.660
_cell_length_b 8.660
_cell_length_c 8.660
_cell_angle_alpha 24.88
_cell_angle_beta 24.88
_cell_angle_gamma 24.88
loop_
_atom_site_label
_atom_site_fract_x
_atom_site_fract_y
_atom_site_fract_z
In1 0.000 0.000 0.000
Rh1 0.500 0.500 0.500
Se1 0.117 0.117 0.117
Se2 0.883 0.883 0.883

No. 4
# SbSNF2 PBE-GGA optimized geometry
# VASP energy   -4.0045 eV/atom
# ΔE to the lowest computed polymorph   0.0959 eV/atom
# Total magnetic moment   0.0 μB per formula unit
# E_form (uncorrected)   0.0591 eV per atom
data_SbSNF2
_symmetry_space_group_name_H-M 'P 1'
_symmetry_Int_Tables_number 1
_symmetry_space_group_name_Hall 'P 1'
_cell_length_a 4.926
_cell_length_b 4.926
_cell_length_c 3.218
_cell_angle_alpha 90.00
_cell_angle_beta 90.00
_cell_angle_gamma 90.00
loop_
_atom_site_label
_atom_site_fract_x
_atom_site_fract_y
_atom_site_fract_z
Sb1 0.000 0.000 0.000
S1 0.500 0.500 0.500
N1 0.500 0.500 0.000
F1 0.000 0.500 0.500
F2 0.500 0.000 0.500

=====

Here is crystalline SmCoBr at its relaxed geometry from OQMD via LeMat-Bulk. Energies are from PBE.

Calculated values
density = 5.99 g/cm³
VASP energy = -32.9 eV per cell

abc: 11.9572 11.9572 11.9572
angles: 19.13 19.13 19.13
Last column: magnetic moment on the atom in μB.
Fractional positions:
Br  0.7235  0.7235  0.7235  0.00
Co  0.1652  0.1652  0.1652  0.33
Sm  0.5541  0.5541  0.5541  -0.04
Co  0.8348  0.8348  0.8348  0.33
+++

Jupiter! Thane must give up by either submitting, fleeing, or passing out.

Jupiter may challenge Pepper for the right to lead Ludicael.


Jupiter- Swelling and mild bruising on back along with two 1/4 inch gashes. Mild-moderate bleeding and bruising on chest and rib bones. Each wound will remain sore for 2 OOC weeks. Permanent scarring on chest and ribs.

Thane Swelling and bruising on muzzle, chest, and shoulder. Permanent scarring on chest and muzzle. Wounds will remain sore for 2 OOC weeks.


Tips for both writing, and some suggestions. (no points are deducted here)
You guys overall wrote really well. I do have a few concerns though, several times defenses were not fully elaborated. Every post requires you to set up your defenses like new, and you cannot assume that they are carried over from the previous post. Also, your wolves behavior post-fight was highly unusual and should never occur again. When a fight is through and the last round is posted, you must cease replying to the thread until you get a response from a judge.

For Starsight
Your writing had no overall issues, however a few of your maneuvers were curious and I?m not entirely sure would actually occur. Overall you did a fabulous job, however, and I commend your thoughtfulness in each post. One of the top things you need to work on is the setting of your defenses in each post, and elaborating on all of them individually.

For Maka
Your sentence structure needs a bit of work, but overall you did a good job. Your posts lacked a bit of realism that is necessary, and that?s what really hurt you in this battle. You also failed to notice several times when Jupiter was attacking Thane, and for that you lost points. Always check and double check to be sure you addressed everything the other wolf is doing. And be sure your wolf isn?t taking time to talk to it?s bird mid-fight, okay?

- By Andy